_Exercise_
Your job: duplicate the listing underneath from the line with "----------" to the end word for word.
_File_
........
## Ho2NiAs2 (PBE)

Data for an optimized crystal structure of Ho2NiAs2. Values from VASP.

Properties
E_form ... -1.24 eV/atom
Uncorrected energy ... -6.0877 eV/atom
Calculated density ... 8.71 g/cm³

Quantum ESPRESSO input file:
```
&SYSTEM
  ibrav = 0, nat = 10, ntyp = 3
/
ATOMIC_SPECIES
As 74.92 As.upf
Ho 164.93 Ho.upf
Ni 58.69 Ni.upf
CELL_PARAMETERS angstrom
0.813 3.059 2.602
-3.778 -1.574 -0.196
3.394 -9.391 9.981
ATOMIC_POSITIONS crystal
As 0.333 0.667 0.250
As 0.000 0.000 0.000
As 0.000 0.000 0.500
As 0.667 0.333 0.750
Ho 0.333 0.667 0.618
Ho 0.333 0.667 0.882
Ho 0.667 0.333 0.118
Ho 0.667 0.333 0.382
Ni 0.000 0.000 0.750
Ni 0.000 0.000 0.250
```

----------

Li5Mn3Nb2O10: optimized geometry, PBE+U.

Calculated values
- total magnetic moment (μB/f.u.) = 1.0
- symmetry = No. 2
- E_form (kJ/mol of formula units) = -4694
- total DFT energy (no corrections) (eV for the cell shown) = -286.99

```
Li5Mn3Nb2O10
1.0
5.355 0.000 0.000
2.542 7.718 0.000
1.865 2.842 10.079
Li Mn Nb O
10 6 4 20
direct
0.000 0.000 0.250
0.000 0.000 0.750
0.115 0.280 0.008
0.116 0.280 0.507
0.272 0.902 0.506
0.273 0.902 0.005
0.727 0.098 0.995
0.728 0.098 0.494
0.884 0.720 0.493
0.885 0.720 0.992
0.192 0.601 0.754
0.192 0.602 0.254
0.500 0.500 0.000
0.500 0.500 0.500
0.808 0.398 0.746
0.808 0.399 0.246
0.404 0.186 0.757
0.405 0.185 0.257
0.595 0.815 0.743
0.596 0.814 0.243
0.078 0.152 0.868
0.079 0.152 0.369
0.173 0.427 0.133
0.173 0.427 0.632
0.277 0.756 0.369
0.277 0.756 0.869
0.347 0.044 0.631
0.348 0.044 0.131
0.451 0.339 0.871
0.452 0.340 0.370
0.548 0.660 0.630
0.549 0.661 0.129
0.652 0.956 0.869
0.653 0.956 0.369
0.723 0.244 0.131
0.723 0.244 0.631
0.827 0.573 0.368
0.827 0.573 0.867
0.921 0.848 0.631
0.922 0.848 0.132
```
........
_Result_
----------

Li5Mn3Nb2O10: optimized geometry, PBE+U.

Calculated values
- total magnetic moment (μB/f.u.) = 1.0
- symmetry = No. 2
- E_form (kJ/mol of formula units) = -4694
- total DFT energy (no corrections) (eV for the cell shown) = -286.99

```
Li5Mn3Nb2O10
1.0
5.355 0.000 0.000
2.542 7.718 0.000
1.865 2.842 10.079
Li Mn Nb O
10 6 4 20
direct
0.000 0.000 0.250
0.000 0.000 0.750
0.115 0.280 0.008
0.116 0.280 0.507
0.272 0.902 0.506
0.273 0.902 0.005
0.727 0.098 0.995
0.728 0.098 0.494
0.884 0.720 0.493
0.885 0.720 0.992
0.192 0.601 0.754
0.192 0.602 0.254
0.500 0.500 0.000
0.500 0.500 0.500
0.808 0.398 0.746
0.808 0.399 0.246
0.404 0.186 0.757
0.405 0.185 0.257
0.595 0.815 0.743
0.596 0.814 0.243
0.078 0.152 0.868
0.079 0.152 0.369
0.173 0.427 0.133
0.173 0.427 0.632
0.277 0.756 0.369
0.277 0.756 0.869
0.347 0.044 0.631
0.348 0.044 0.131
0.451 0.339 0.871
0.452 0.340 0.370
0.548 0.660 0.630
0.549 0.661 0.129
0.652 0.956 0.869
0.653 0.956 0.369
0.723 0.244 0.131
0.723 0.244 0.631
0.827 0.573 0.368
0.827 0.573 0.867
0.921 0.848 0.631
0.922 0.848 0.132
```